+++
The following is a DFT calculation (PBEsol) of a relaxed YErCu2 crystal.

Summary:
Volume, Å³/cell: 78.3
Final energy, Ry per atom: -0.39298
D(E_F), states/eV per cell: 2.1
ΔE_f, eV per atom: -0.242

```
YErCu2
1.0
0.000 3.396 3.396
3.396 0.000 3.396
3.396 3.396 0.000
Y Er Cu
1 1 2
direct
0.000 0.000 0.000
0.500 0.500 0.500
0.250 0.250 0.250
0.750 0.750 0.750
```

***

The following is a DFT calculation (PBEsol) of a relaxed EuCu5 crystal.

Summary:
Volume, Å³/cell: 88.2
Final energy, Ry per atom: -0.40284
D(E_F), states/eV per cell: 12.8
ΔE_f, eV per atom: -0.109

```
EuCu5
1.0
5.045 0.000 0.000
-2.522 4.369 0.000
0.000 0.000 4.001
Eu Cu
1 5
direct
0.000 0.000 0.000
0.000 0.500 0.500
0.333 0.667 0.000
0.500 0.000 0.500
0.500 0.500 0.500
0.667 0.333 0.000
```

***

The following is a DFT calculation (PBEsol) of a relaxed EuCu crystal.

Summary:
Volume, Å³/cell: 43.9
Final energy, Ry per atom: -0.55140
D(E_F), states/eV per cell: 4.1
ΔE_f, eV per atom: -0.053

```
EuCu
1.0
3.529 0.000 0.000
0.000 3.529 0.000
0.000 0.000 3.529
Eu Cu
1 1
direct
0.000 0.000 0.000
0.500 0.500 0.500
```

* * * * *

#a
A plane-wave DFT calculation with GGA-PBE was carried out for a relaxed Ca2LaTc crystal.

Cell and atoms, written as CIF:
```
data_Ca2LaTc
_cell_length_a 9.1590
_cell_length_b 4.5779
_cell_length_c 6.2547
_cell_angle_alpha 90.00
_cell_angle_beta 116.33
_cell_angle_gamma 90.00
_space_group_name_H-M_alt 'C 1 m 1'
_space_group_IT_number 8
_space_group_name_Hall 'C -2y'
loop_
_atom_site_label
_atom_site_type_symbol
_atom_site_fract_x
_atom_site_fract_y
_atom_site_fract_z
Ca1 Ca 0.0000 0.0000 0.0000
Ca2 Ca 0.1973 0.0000 0.6476
La1 La 0.2781 0.5000 0.2913
Tc1 Tc 0.4199 0.0000 0.3196
```

Summary:
Crystal system: monoclinic
Magnetic moment (μB per formula unit): 0.00

=====

#b
A plane-wave DFT calculation with GGA-PBE was carried out for a relaxed Ca2LaTc crystal.

Cell and atoms, written as CIF:
```
data_Ca2LaTc
+++
Duplicate the whole of the material further up without additions.
The following is a DFT calculation (PBEsol) of a relaxed YErCu2 crystal.

Summary:
Volume, Å³/cell: 78.3
Final energy, Ry per atom: -0.39298
D(E_F), states/eV per cell: 2.1
ΔE_f, eV per atom: -0.242

```
YErCu2
1.0
0.000 3.396 3.396
3.396 0.000 3.396
3.396 3.396 0.000
Y Er Cu
1 1 2
direct
0.000 0.000 0.000
0.500 0.500 0.500
0.250 0.250 0.250
0.750 0.750 0.750
```

***

The following is a DFT calculation (PBEsol) of a relaxed EuCu5 crystal.

Summary:
Volume, Å³/cell: 88.2
Final energy, Ry per atom: -0.40284
D(E_F), states/eV per cell: 12.8
ΔE_f, eV per atom: -0.109

```
EuCu5
1.0
5.045 0.000 0.000
-2.522 4.369 0.000
0.000 0.000 4.001
Eu Cu
1 5
direct
0.000 0.000 0.000
0.000 0.500 0.500
0.333 0.667 0.000
0.500 0.000 0.500
0.500 0.500 0.500
0.667 0.333 0.000
```

***

The following is a DFT calculation (PBEsol) of a relaxed EuCu crystal.

Summary:
Volume, Å³/cell: 43.9
Final energy, Ry per atom: -0.55140
D(E_F), states/eV per cell: 4.1
ΔE_f, eV per atom: -0.053

```
EuCu
1.0
3.529 0.000 0.000
0.000 3.529 0.000
0.000 0.000 3.529
Eu Cu
1 1
direct
0.000 0.000 0.000
0.500 0.500 0.500
```

* * * * *

#a
A plane-wave DFT calculation with GGA-PBE was carried out for a relaxed Ca2LaTc crystal.

Cell and atoms, written as CIF:
```
data_Ca2LaTc
_cell_length_a 9.1590
_cell_length_b 4.5779
_cell_length_c 6.2547
_cell_angle_alpha 90.00
_cell_angle_beta 116.33
_cell_angle_gamma 90.00
_space_group_name_H-M_alt 'C 1 m 1'
_space_group_IT_number 8
_space_group_name_Hall 'C -2y'
loop_
_atom_site_label
_atom_site_type_symbol
_atom_site_fract_x
_atom_site_fract_y
_atom_site_fract_z
Ca1 Ca 0.0000 0.0000 0.0000
Ca2 Ca 0.1973 0.0000 0.6476
La1 La 0.2781 0.5000 0.2913
Tc1 Tc 0.4199 0.0000 0.3196
```

Summary:
Crystal system: monoclinic
Magnetic moment (μB per formula unit): 0.00

=====

#b
A plane-wave DFT calculation with GGA-PBE was carried out for a relaxed Ca2LaTc crystal.

Cell and atoms, written as CIF:
```
data_Ca2LaTc